_Contents_
=====
{
  "formula": "ErMgAu2",
  "functional": "r²SCAN",
  "state": "relaxed",
  "lattice": [[1.337, -3.993, -2.374], [-3.355, -2.992, -1.778], [-0.673, -0.312, -4.777]],
  "species": ["Er", "Mg", "Au", "Au"],
  "frac_coords": [[0.500, 0.500, 0.500], [0.000, 0.000, 0.000], [0.750, 0.750, 0.750], [0.250, 0.250, 0.250]],
  "crystal_system": "cubic",
  "final_energy_ev_per_cell": -142.60
}


{
  "formula": "ErNi4Au",
  "functional": "r²SCAN",
  "state": "relaxed",
  "lattice": [[3.880, 2.134, -1.997], [2.595, -2.345, -3.371], [-0.147, 1.462, -4.630]],
  "species": ["Er", "Ni", "Ni", "Ni", "Ni", "Au"],
  "frac_coords": [[0.750, 0.750, 0.750], [0.374, 0.374, 0.374], [0.877, 0.374, 0.374], [0.374, 0.877, 0.374], [0.374, 0.374, 0.877], [0.000, 0.000, 0.000]],
  "crystal_system": "cubic",
  "final_energy_ev_per_cell": -134.74
}


{
  "formula": "Er2PdAu",
  "functional": "r²SCAN",
  "state": "relaxed",
  "lattice": [[-1.481, 2.042, 4.248], [-4.117, -1.606, 2.209], [0.297, -2.567, 4.211]],
  "species": ["Er", "Er", "Pd", "Au"],
  "frac_coords": [[0.500, 0.500, 0.500], [0.000, 0.000, 0.000], [0.750, 0.750, 0.750], [0.250, 0.250, 0.250]],
  "crystal_system": "cubic",
  "final_energy_ev_per_cell": -145.19
}


{
  "formula": "Er2RuAu",
  "functional": "r²SCAN",
  "state": "relaxed",
  "lattice": [[-4.522, -1.797, -0.021], [-3.377, 1.944, -2.915], [-1.610, -2.491, -3.858]],
  "species": ["Er", "Er", "Ru", "Au"],
  "frac_coords": [[0.750, 0.750, 0.750], [0.250, 0.250, 0.250], [0.000, 0.000, 0.000], [0.500, 0.500, 0.500]],
  "crystal_system": "cubic",
  "final_energy_ev_per_cell": -146.59
}


{
  "formula": "ErSi2Au2",
  "functional": "r²SCAN",
  "state": "relaxed",
  "lattice": [[0.616, -3.732, -1.870], [0.059, -1.882, 3.776], [-5.367, 2.111, -1.221]],
  "species": ["Er", "Si", "Si", "Au", "Au"],
  "frac_coords": [[0.000, 0.000, 0.000], [0.611, 0.611, 0.223], [0.389, 0.389, 0.777], [0.250, 0.750, 0.500], [0.750, 0.250, 0.500]],
  "crystal_system": "tetragonal",
  "final_energy_ev_per_cell": -155.44
}


{
  "formula": "Er2ZnAu",
  "functional": "r²SCAN",
  "state": "relaxed",
  "lattice": [[2.347, -1.047, 4.269], [-0.179, 3.222, 3.796], [-2.632, -1.106, 4.083]],
  "species": ["Er", "Er", "Zn", "Au"],
  "frac_coords": [[0.500, 0.500, 0.500], [0.000, 0.000, 0.000], [0.750, 0.750, 0.750], [0.250, 0.250, 0.250]],
  "crystal_system": "cubic",
  "final_energy_ev_per_cell": -130.05
}


{
  "formula": "Eu3Au",
  "functional": "r²SCAN",
  "state": "relaxed",
  "lattice": [[-3.735, -5.817, -0.704], [-2.219, 2.291, -7.151], [8.117, -4.722, -4.035]],
  "species": ["Eu", "Eu", "Eu", "Eu", "Eu", "Eu", "Eu", "Eu", "Eu", "Eu", "Eu", "Eu", "Au", "Au", "Au", "Au"],
  "frac_coords": [[0.333, 0.676, 0.060], [0.166, 0.176, 0.440], [0.666, 0.324, 0.560], [0.833, 0.824, 0.940], [0.667, 0.324, 0.940], [0.834, 0.824, 0.560], [0.334, 0.676, 0.440], [0.167, 0.176, 0.060], [0.860, 0.526, 0.250], [0.640, 0.026, 0.250], [0.140, 0.474, 0.750], [0.360, 0.974, 0.750], [0.060, 0.879, 0.250], [0.440, 0.379, 0.250], [0.940, 0.121, 0.750], [0.560, 0.621, 0.750]],
  "crystal_system": "monoclinic",
  "final_energy_ev_per_cell": -672.69
}


{
  "formula": "EuAu",
  "functional": "r²SCAN",
  "state": "relaxed",
  "lattice": [[0.000, 4.720, 0.000], [0.000, 0.000, 5.986], [7.720, 0.000, 0.000]],
  "species": ["Eu", "Eu", "Eu", "Eu", "Au", "Au", "Au", "Au"],
  "frac_coords": [[0.250, 0.360, 0.683], [0.250, 0.140, 0.183], [0.750, 0.640, 0.317], [0.750, 0.860, 0.817], [0.250, 0.856, 0.540], [0.250, 0.644, 0.040], [0.750, 0.144, 0.460], [0.750, 0.356, 0.960]],
  "crystal_system": "orthorhombic",
  "final_energy_ev_per_cell": -363.51
}


{
  "formula": "Eu2Ge3Au",
  "functional": "r²SCAN",
  "state": "relaxed",
  "lattice": [[0.000, 4.454, 7.431], [4.296, 0.000, 7.431], [4.296, 4.454, 0.000]],
  "species": ["Eu", "Eu", "Eu", "Eu", "Ge", "Ge", "Ge", "Ge", "Ge", "Ge", "Au", "Au"],
=====

_Wanted_
Filter the entries further up: keep the lines with the word "functional".

_Here it is_
  "functional": "r²SCAN",
  "functional": "r²SCAN",
  "functional": "r²SCAN",
  "functional": "r²SCAN",
  "functional": "r²SCAN",
  "functional": "r²SCAN",
  "functional": "r²SCAN",
  "functional": "r²SCAN",
  "functional": "r²SCAN",